Request
Please restate the whole of the notes below without altering anything.

Excerpt
~~~
9
Properties=species:S:1:pos:R:3:nbo_charge:R:1 method="wB97M-V/def2-TZVPD" homo_energy_ev=-2.85 lumo_energy_ev=3.890 homo_lumo_gap_ha=0.2476 largest_force_ev_per_a=4.15 total_charge=-1 energy_ev=-12001.4373
C -0.006 1.362 -1.647 0.680
C -0.391 -1.378 1.619 0.719
C 0.635 1.057 -0.482 -0.466
O -0.669 2.069 -2.363 -0.658
O 0.255 -0.026 -1.536 -0.650
O -0.107 -1.451 2.788 -0.550
F -1.521 -2.080 1.105 -0.395
H 1.846 1.175 -0.350 0.129
H -0.042 -0.729 0.867 0.191

11
Properties=species:S:1:pos:R:3:nbo_charge:R:1 method="wB97M-V/def2-TZVPD" homo_energy_ev=-8.65 lumo_energy_ev=1.012 smiles=CSCN homo_lumo_gap_ha=0.3551 largest_force_ev_per_a=0.51 energy_ev=-14512.6432
C -0.320 1.678 -0.369 -0.749
S 0.393 0.479 0.787 0.155
C -0.340 -1.081 0.204 -0.350
N 0.096 -1.560 -1.101 -0.830
H 0.434 2.443 -0.507 0.229
H -1.256 2.087 -0.006 0.215
H -0.502 1.201 -1.335 0.210
H -1.421 -1.000 0.224 0.199
H -0.055 -1.790 0.986 0.206
H 1.010 -1.182 -1.330 0.361
H -0.523 -1.214 -1.825 0.352

13
Properties=species:S:1:pos:R:3:nbo_charge:R:1 method="wB97M-V/def2-TZVPD" homo_energy_ev=-9.91 lumo_energy_ev=0.910 smiles=N#C[C@H]1C[C@H]2CN21 homo_lumo_gap_ha=0.3975 largest_force_ev_per_a=1.15 energy_ev=-8260.0209
N 2.478 -1.479 0.803 -0.309
C 1.724 -0.607 0.703 0.266
C 0.752 0.477 0.529 -0.171
C 0.265 0.755 -0.917 -0.407
C -1.117 0.396 -0.393 -0.089
C -1.125 -0.941 0.213 -0.278
N -0.634 0.184 1.015 -0.351
H 1.125 1.371 1.033 0.246
H 0.667 0.120 -1.711 0.222
H 0.379 1.805 -1.192 0.225
H -2.026 0.957 -0.594 0.213
H -0.420 -1.702 -0.121 0.208
H -2.070 -1.326 0.585 0.224

22
Properties=species:S:1:pos:R:3:nbo_charge:R:1 method="wB97M-V/def2-TZVPD" homo_energy_ev=-8.35 lumo_energy_ev=-1.001 homo_lumo_gap_ha=0.2700 largest_force_ev_per_a=8.87 energy_ev=-7948.9563
C 0.784 -0.233 2.201 -0.423
C 1.695 0.771 2.929 -0.615
C 0.556 0.250 0.753 -0.244
N 0.127 -0.692 -0.193 -0.400
C 0.119 -0.009 -1.408 -0.127
C -0.818 -0.734 -2.492 -0.417
C -2.047 -1.182 -1.838 -0.634
H 1.225 -1.237 2.084 0.211
H -0.142 -0.205 2.762 0.208
H 1.403 1.796 2.378 0.188
H 1.427 1.003 4.001 0.222
H 2.799 0.729 2.659 0.217
H 1.375 0.914 0.371 0.170
H -0.286 1.167 1.013 0.176
H -0.454 1.930 -1.274 0.109
H 1.133 0.187 -1.954 0.210
H -0.469 0.945 -1.203 0.073
H -1.028 0.023 -3.214 0.198
H -0.401 -1.637 -2.988 0.220
H -2.962 -1.210 -2.438 0.216
H -2.176 -0.536 -0.958 0.210
H -1.859 -2.042 -1.191 0.230

14
Properties=species:S:1:pos:R:3:nbo_charge:R:1 method="wB97M-V/def2-TZVPD" homo_energy_ev=-8.35 lumo_energy_ev=0.968 homo_lumo_gap_ha=0.3423 largest_force_ev_per_a=0.33 energy_ev=-8368.3808
C -1.918 0.108 0.349 -0.637
C -0.418 -0.012 0.466 0.051
C 0.877 -1.390 -0.676 -0.093
O 1.413 -0.318 -1.313 -0.508
C 1.526 0.805 -0.469 0.212
O 0.218 1.095 -0.057 -0.506
H -2.393 -0.798 0.737 0.223
H -2.281 0.965 0.922 0.229
H -2.202 0.237 -0.698 0.227
H -0.070 -0.265 1.473 0.177
H 1.389 -1.534 0.299 0.101
H -0.291 -1.036 -0.308 0.194
H 2.177 0.577 0.392 0.142
H 1.895 1.654 -1.044 0.188
~~~

Worked solution
9
Properties=species:S:1:pos:R:3:nbo_charge:R:1 method="wB97M-V/def2-TZVPD" homo_energy_ev=-2.85 lumo_energy_ev=3.890 homo_lumo_gap_ha=0.2476 largest_force_ev_per_a=4.15 total_charge=-1 energy_ev=-12001.4373
C -0.006 1.362 -1.647 0.680
C -0.391 -1.378 1.619 0.719
C 0.635 1.057 -0.482 -0.466
O -0.669 2.069 -2.363 -0.658
O 0.255 -0.026 -1.536 -0.650
O -0.107 -1.451 2.788 -0.550
F -1.521 -2.080 1.105 -0.395
H 1.846 1.175 -0.350 0.129
H -0.042 -0.729 0.867 0.191

11
Properties=species:S:1:pos:R:3:nbo_charge:R:1 method="wB97M-V/def2-TZVPD" homo_energy_ev=-8.65 lumo_energy_ev=1.012 smiles=CSCN homo_lumo_gap_ha=0.3551 largest_force_ev_per_a=0.51 energy_ev=-14512.6432
C -0.320 1.678 -0.369 -0.749
S 0.393 0.479 0.787 0.155
C -0.340 -1.081 0.204 -0.350
N 0.096 -1.560 -1.101 -0.830
H 0.434 2.443 -0.507 0.229
H -1.256 2.087 -0.006 0.215
H -0.502 1.201 -1.335 0.210
H -1.421 -1.000 0.224 0.199
H -0.055 -1.790 0.986 0.206
H 1.010 -1.182 -1.330 0.361
H -0.523 -1.214 -1.825 0.352

13
Properties=species:S:1:pos:R:3:nbo_charge:R:1 method="wB97M-V/def2-TZVPD" homo_energy_ev=-9.91 lumo_energy_ev=0.910 smiles=N#C[C@H]1C[C@H]2CN21 homo_lumo_gap_ha=0.3975 largest_force_ev_per_a=1.15 energy_ev=-8260.0209
N 2.478 -1.479 0.803 -0.309
C 1.724 -0.607 0.703 0.266
C 0.752 0.477 0.529 -0.171
C 0.265 0.755 -0.917 -0.407
C -1.117 0.396 -0.393 -0.089
C -1.125 -0.941 0.213 -0.278
N -0.634 0.184 1.015 -0.351
H 1.125 1.371 1.033 0.246
H 0.667 0.120 -1.711 0.222
H 0.379 1.805 -1.192 0.225
H -2.026 0.957 -0.594 0.213
H -0.420 -1.702 -0.121 0.208
H -2.070 -1.326 0.585 0.224

22
Properties=species:S:1:pos:R:3:nbo_charge:R:1 method="wB97M-V/def2-TZVPD" homo_energy_ev=-8.35 lumo_energy_ev=-1.001 homo_lumo_gap_ha=0.2700 largest_force_ev_per_a=8.87 energy_ev=-7948.9563
C 0.784 -0.233 2.201 -0.423
C 1.695 0.771 2.929 -0.615
C 0.556 0.250 0.753 -0.244
N 0.127 -0.692 -0.193 -0.400
C 0.119 -0.009 -1.408 -0.127
C -0.818 -0.734 -2.492 -0.417
C -2.047 -1.182 -1.838 -0.634
H 1.225 -1.237 2.084 0.211
H -0.142 -0.205 2.762 0.208
H 1.403 1.796 2.378 0.188
H 1.427 1.003 4.001 0.222
H 2.799 0.729 2.659 0.217
H 1.375 0.914 0.371 0.170
H -0.286 1.167 1.013 0.176
H -0.454 1.930 -1.274 0.109
H 1.133 0.187 -1.954 0.210
H -0.469 0.945 -1.203 0.073
H -1.028 0.023 -3.214 0.198
H -0.401 -1.637 -2.988 0.220
H -2.962 -1.210 -2.438 0.216
H -2.176 -0.536 -0.958 0.210
H -1.859 -2.042 -1.191 0.230

14
Properties=species:S:1:pos:R:3:nbo_charge:R:1 method="wB97M-V/def2-TZVPD" homo_energy_ev=-8.35 lumo_energy_ev=0.968 homo_lumo_gap_ha=0.3423 largest_force_ev_per_a=0.33 energy_ev=-8368.3808
C -1.918 0.108 0.349 -0.637
C -0.418 -0.012 0.466 0.051
C 0.877 -1.390 -0.676 -0.093
O 1.413 -0.318 -1.313 -0.508
C 1.526 0.805 -0.469 0.212
O 0.218 1.095 -0.057 -0.506
H -2.393 -0.798 0.737 0.223
H -2.281 0.965 0.922 0.229
H -2.202 0.237 -0.698 0.227
H -0.070 -0.265 1.473 0.177
H 1.389 -1.534 0.299 0.101
H -0.291 -1.036 -0.308 0.194
H 2.177 0.577 0.392 0.142
H 1.895 1.654 -1.044 0.188